### Request
Now work out how many lines further down have the word "R3m" in them; a number is enough.

### File
┌──
This record from OQMD via LeMat-Bulk describes a relaxed RbFeAuSeS2 crystal. The functional is PBE.

```
12
Lattice="1.7451 -8.2570 0.0000 1.7451 8.2570 0.0000 0.0000 0.0000 9.9262" Properties=species:S:1:pos:R:3 pbc="T T T"
Au 1.7451 -6.6886 7.4447
Au 1.7451 6.6886 2.4816
Se 1.7452 0.8224 2.4816
Se 1.7452 -0.8224 7.4447
Rb 1.7452 4.4653 7.4447
Rb 1.7452 -4.4653 2.4816
S 1.7452 6.7213 4.8136
S 1.7452 -6.7213 5.1126
S 1.7452 -6.7213 9.7768
S 1.7452 6.7213 0.1495
Fe 1.7451 0.0000 4.9631
Fe 1.7451 0.0000 0.0000
```

Values from the calculation:
Total energy ... -52.10 eV per cell
Size of the total moment ... 0.284 μB/atom


This record from OQMD via LeMat-Bulk describes a relaxed RbFeAuSe2S crystal. The functional is PBE.

```
12
Lattice="-4.1090 3.7531 5.4657 1.5179 -1.9665 -7.3940 -6.5575 -8.5181 0.9192" Properties=species:S:1:pos:R:3 pbc="T T T"
Se -2.1223 1.2435 0.4712
Se -4.1709 -4.2660 -1.8805
Se -7.0263 -7.9750 -1.4803
Se -4.9776 -2.4656 0.8714
Fe -3.2788 -4.2590 0.4596
Fe 0.0000 0.0000 0.0000
Au -3.1486 -1.0190 -0.2460
Au -6.0000 -5.7125 -0.7631
S -3.7806 -7.9684 -5.8352
S -5.3679 1.2369 4.8261
Rb -1.5362 -2.6579 -3.9309
Rb -7.6123 -4.0736 2.9217
```

Values from the calculation:
Total energy ... -50.19 eV per cell
Size of the total moment ... 0.607 μB/atom


This record from OQMD via LeMat-Bulk describes a relaxed RbFeAuSeS2 crystal. The functional is PBE.

```
12
Lattice="1.7451 -8.2570 0.0000 1.7451 8.2570 0.0000 0.0000 0.0000 9.9262" Properties=species:S:1:pos:R:3 pbc="T T T"
Rb 1.7452 -4.4653 2.4816
Rb 1.7452 4.4653 7.4447
Fe 1.7451 0.0000 4.9631
Fe 1.7451 0.0000 0.0000
Au 1.7451 6.6886 2.4816
Au 1.7451 -6.6886 7.4447
S 1.7452 6.7213 0.1495
S 1.7452 -6.7213 5.1126
S 1.7452 -6.7213 9.7768
S 1.7452 6.7213 4.8136
Se 1.7452 -0.8224 7.4447
Se 1.7452 0.8224 2.4816
```

Values from the calculation:
Total energy ... -52.10 eV per cell
Size of the total moment ... 0.284 μB/atom

=====

[1]
Computed, not measured: a relaxed structure of Ba2ZrBr2N2 at the GGA-PBE level of DFT.

Summary:
ΔE_f (raw): -1484 meV/atom

Lattice parameters (Å, degrees): 4.481 4.481 17.141 90.00 90.00 90.00
Space group I4/mmm (No. 139)
One atom of each set of equivalent atoms:
Ba (0.000, 0.000, 0.103) (multiplicity 4)
Zr (0.000, 0.000, 0.500) (multiplicity 2)
Br (0.000, 0.000, 0.328) (multiplicity 4)
N (0.000, 0.500, 0.000) (multiplicity 4)

=====

[2]
Computed, not measured: a relaxed structure of BaNdTe2F at the GGA-PBE level of DFT.

Summary:
ΔE_f (raw): -2193 meV/atom

Lattice parameters (Å, degrees): 4.533 4.533 16.077 90.00 90.00 90.00
Space group P4/nmm (No. 129, origin choice 2)
One atom of each set of equivalent atoms:
Ba (0.250, 0.250, 0.092) (multiplicity 2)
Nd (0.250, 0.250, 0.620) (multiplicity 2)
Te (0.250, 0.250, 0.409) (multiplicity 2)
Te (0.250, 0.250, 0.802) (multiplicity 2)
F (0.250, 0.750, 0.000) (multiplicity 2)

=====

[3]
Computed, not measured: a relaxed structure of Ce3HoCo8 at the GGA-PBE level of DFT.

Summary:
formation energy from the elements: -0.226 eV per atom

Lattice parameters (Å, degrees): 5.0017 5.0017 24.4672 90.00 90.00 120.00
Space group R3m (No. 160, hexagonal axes)
One atom of each set of equivalent atoms:
Ce (0.0000, 0.0000, 0.0000) (multiplicity 3)
Ce (0.0000, 0.0000, 0.1241) (multiplicity 3)
Ce (0.0000, 0.0000, 0.6292) (multiplicity 3)
Ho (0.0000, 0.0000, 0.5028) (multiplicity 3)
Co (0.0000, 0.0000, 0.3143) (multiplicity 3)
Co (0.0000, 0.0000, 0.8150) (multiplicity 3)
Co (0.0013, 0.5006, 0.0649) (multiplicity 9)
Co (0.1671, 0.3342, 0.8973) (multiplicity 9)

=====

[4]
Computed, not measured: a relaxed structure of PaHg2PdO6 at the GGA-PBE level of DFT.

Summary:
ΔE_f (raw): -1342 meV/atom

Lattice parameters (Å, degrees): 5.663 5.786 5.880 118.16 90.03 118.75
Space group P-1 (No. 2)
One atom of each set of equivalent atoms:
└──

### Response
1